Simplify Tax
Colorado Sales and Use Tax

Data records, as found in the file >
____________
Record 1
Theoretical X-ray diffraction stick pattern
Compound: Sn2PbCl
Radiation: Cu Kα (λ = 1.5418 Å)
Structure: DFT lattice parameters and positions (GGA-PBE)

Most intense lines, 2θ = 10–80°, sorted by position:
| (hkl) | 2θ/deg | Rel. int. |
| --- | --- | --- |
| 1 0 1 | 20.88 | 30.6 |
| 1 0 3 | 23.12 | 20.4 |
| 0 0 8 | 28.00 | 60.3 |
| 1 1 2 | 30.12 | 100.0 |
| 1 1 6 | 36.25 | 61.4 |
| 2 0 4 | 44.33 | 74.3 |
| 1 1 10 | 46.41 | 30.8 |
| 1 1 14 | 59.07 | 15.2 |
| 2 0 12 | 61.23 | 27.3 |
| 2 2 8 | 68.16 | 22.9 |
| 3 1 2 | 69.27 | 19.1 |
| 3 1 6 | 72.81 | 16.7 |

Structural model:
```
Sn2PbCl
1.0
4.314 0.000 0.000
0.000 4.314 0.000
0.000 0.000 25.498
Sn Pb Cl
8 4 4
Direct
0.243 0.250 0.125 Sn
0.250 0.743 0.375 Sn
0.250 0.757 0.875 Sn
0.257 0.250 0.625 Sn
0.743 0.750 0.625 Sn
0.750 0.243 0.875 Sn
0.750 0.257 0.375 Sn
0.757 0.750 0.125 Sn
0.000 0.000 0.000 Pb
0.000 0.500 0.250 Pb
0.500 0.000 0.750 Pb
0.500 0.500 0.500 Pb
0.000 0.000 0.500 Cl
0.000 0.500 0.750 Cl
0.500 0.000 0.250 Cl
0.500 0.500 0.000 Cl
```



Record 2
Theoretical X-ray diffraction stick pattern
Compound: Tb2Ho7Tm
Radiation: Cu Kα (λ = 1.5418 Å)
Structure: DFT lattice parameters and positions (GGA-PBE)

Most intense lines, 2θ = 10–80°, sorted by position:
| (hkl) | 2θ/deg | Rel. int. |
| --- | --- | --- |
| 1 0 2 | 31.13 | 100.0 |
| 1 -2 2 | 36.07 | 33.8 |
| 2 1 -1 | 36.16 | 16.8 |
| 1 2 2 | 51.96 | 30.0 |
| 3 0 -4 | 52.05 | 6.0 |
| 0 1 5 | 61.78 | 24.9 |
| 3 1 1 | 61.90 | 17.7 |
| 2 0 4 | 64.87 | 6.2 |
| 2 2 -6 | 64.95 | 6.1 |
| 2 -4 4 | 76.51 | 3.8 |
| 4 2 -2 | 76.72 | 1.9 |

Structural model:
```
Tb2Ho7Tm
1.0
6.087 0.000 0.000
-1.027 6.011 0.000
-3.029 -2.579 8.422
Tb Ho Tm
2 7 1
Direct
0.100 0.001 0.200 Tb
0.900 0.999 0.800 Tb
0.100 0.500 0.699 Ho
0.300 0.000 0.599 Ho
0.300 0.501 0.100 Ho
0.500 0.000 0.000 Ho
0.700 0.000 0.401 Ho
0.700 0.499 0.900 Ho
0.900 0.500 0.301 Ho
0.500 0.500 0.500 Tm
```
____________
So much for the data records >

simplify colorado tax

The Issues


Download the Coalition's overview in PDF

Colorado businesses face 756 specific geographic areas with different sales tax structures, making the calculation and collection an onerous burden. And woe to those who are accused of making a mistake. Most taxpayers do not know the nuances of tax definitions until an audit.

In 2013, the Council on State Taxation (COST) rated Colorado as the fourth worst state in the country (with a grade of D) in its Scorecard on Tax Appeals & Procedural Requirements.

Business leaders who deal with Colorado’s unfair, unclear, and excessively complex sales and use tax regulations recognize the need for reform. Why? Because the status quo:

  • Is a significant burden on businesses

  • Unfairly requires businesses to pay tax assessments before they can contest them in a neutral court

<<<
No. 1
Diffraction record for TbPmSnSe. The powder X-ray diffraction pattern is calculated, not measured: it uses DFT lattice parameters and positions (PBE) and Cu Kα X-rays.
Kinematic intensities with the Lorentz-polarization factor, no thermal factor.

Largest 10 diffraction maxima, by angle, 2θ = 15–90°:
2θ (°)	intensity	h k l
29.17	100	1 1 0
29.37	49	0 0 2
41.72	38	2 0 0
41.87	75	1 1 2
51.84	41	2 0 2
68.53	18	3 1 0
68.64	18	2 2 2
68.96	17	1 1 4
76.27	26	3 1 2
76.58	13	2 0 4

Atomic structure:
a b c (Å): 4.330 4.330 6.081
angles (deg): 90.00 90.00 90.00
Sites, in units of the cell vectors:
Tb: 0.000 0.000 0.000
Pm: 0.500 0.500 0.500
Sn: 0.000 0.000 0.500
Se: 0.500 0.500 0.000


No. 2
Diffraction record for Pm4Sn2TeSe. The powder X-ray diffraction pattern is calculated, not measured: it uses DFT lattice parameters and positions (PBE) and Cu Kα X-rays.
Kinematic intensities with the Lorentz-polarization factor, no thermal factor.

Largest 10 diffraction maxima, by angle, 2θ = 15–90°:
2θ (°)	intensity	h k l
28.48	100	1 1 1
40.48	13	2 0 2
40.62	26	1 1 -3
40.80	25	3 1 -1
40.93	13	0 2 0
50.09	7	0 0 4
50.61	14	2 2 -2
58.93	13	2 2 2
66.60	12	0 2 4
66.85	12	4 2 0

Atomic structure:
a b c (Å): 7.670 4.410 7.713
angles (deg): 90.00 109.19 90.00
Sites, in units of the cell vectors:
Pm: 0.242 0.000 0.247
Pm: 0.242 0.500 0.748
Pm: 0.758 0.000 0.753
Pm: 0.758 0.500 0.252
Sn: 0.000 0.500 0.000
Sn: 0.500 0.000 0.000
Te: 0.500 0.500 0.500
Se: 0.000 0.000 0.500
>>>

  • Hits consumers with unexpected taxes after a purchase

  • Puts Colorado at a competitive disadvantage in attracting new employers


View the Simplify Tax Legislative Info

Problems & Proposed Solutions

The current system A simple, fair system looks like
Requires businesses to have multiple sales tax licenses and remit separately to up to 69 self-collecting home-rule cities (one large retailer has more than 90 sales tax licenses). A single sales and use tax license for each business. Remitting sales and use taxes to a single entity with timely delivery of revenue to local taxing jurisdictions.
Provides conflicting definitions of what is taxable across jurisdictions. Clear, proactive guidance (i.e. before an audit) is lacking. Uniform tax definitions that establish standard categories of items/goods. A uniform tax base that establishes what is taxable and non-taxable across jurisdictions. Freedom for localities to vary rates to achieve tax revenue objectives. One entity designated to provide guidance, clarifications and maintain common definitions.
Lacks an accurate central database of sales and use tax information on which businesses can rely without penalty. An authorized database, searchable by address across all taxing areas. Businesses held harmless if they rely on the authorized database.
Exposes taxpayers to multiple audits at any time. Consolidated audits under one entity.
Requires taxpeayer to pay upfront all amounts assessed (or secure a bond for double that amount) to challenge an assessment before an independent court. No barriers to an impartial ruling on the legal basis for a tax assessment.